To do:
Duplicate only the last part of the data further below, starting with the line that has "C30H84N4O17", please.

Input:
{
  "formula": "C30H84N4O17",
  "method": "wB97M-V/def2-TZVPD",
  "symbols": ["C", "O", "O", "H", "H", "H", "C", "C", "C", "O", "H", "H", "H", "H", "O", "H", "C", "C", "O", "H", "H", "N", "H", "O", "C", "C", "C", "H", "O", "H", "H", "C", "H", "H", "H", "C", "H", "H", "H", "H", "H", "H", "H", "C", "C", "H", "H", "C", "N", "H", "H", "H", "C", "H", "N", "H", "H", "O", "H", "C", "H", "H", "H", "H", "H", "H", "O", "H", "H", "C", "N", "O", "C", "H", "O", "C", "H", "C", "H", "H", "C", "H", "H", "H", "H", "H", "H", "O", "H", "H", "H", "H", "H", "C", "C", "H", "H", "H", "H", "H", "O", "C", "H", "H", "H", "H", "C", "C", "H", "H", "C", "H", "H", "H", "O", "H", "O", "O", "H", "H", "H", "H", "C", "H", "H", "C", "H", "C", "H", "H", "O", "H", "H", "H", "H"],

Completed:
  "formula": "C30H84N4O17",
  "method": "wB97M-V/def2-TZVPD",
  "symbols": ["C", "O", "O", "H", "H", "H", "C", "C", "C", "O", "H", "H", "H", "H", "O", "H", "C", "C", "O", "H", "H", "N", "H", "O", "C", "C", "C", "H", "O", "H", "H", "C", "H", "H", "H", "C", "H", "H", "H", "H", "H", "H", "H", "C", "C", "H", "H", "C", "N", "H", "H", "H", "C", "H", "N", "H", "H", "O", "H", "C", "H", "H", "H", "H", "H", "H", "O", "H", "H", "C", "N", "O", "C", "H", "O", "C", "H", "C", "H", "H", "C", "H", "H", "H", "H", "H", "H", "O", "H", "H", "H", "H", "H", "C", "C", "H", "H", "H", "H", "H", "O", "C", "H", "H", "H", "H", "C", "C", "H", "H", "C", "H", "H", "H", "O", "H", "O", "O", "H", "H", "H", "H", "C", "H", "H", "C", "H", "C", "H", "H", "O", "H", "H", "H", "H"],